ART H 309 A: Topics in Art History

Autumn 2021
MWF 10:00am - 11:20am / ART 003
Section Type:
Course Comments:
Syllabus Description (from Canvas):

          Pablo Picasso and his Influence


Doisneau-Picasso 1952.jpg selfprtr1907.jpg Demoiselles.jpg

Instructor:         Marek Wieczorek   
Class times:       MWF 10:00-11:20am
Office hours:     Friday 11:30a-1:00p; for quick questions speak to me right after class.
UW email:  (NOTE: I prefer this email, please do not use Canvas mail, which I simply may miss).

For help with writing papers, feedback and edits, Ashley Tseng ( is holding office hours with a sign-up for her Monday 1-3pm slots here.
And here is the Zoom link through which you can connect with her, which is also on the sign-up sheet:

Pablo Picasso (1881-1973) is widely seen as the greatest artist of the 20th century. Sign up for this class and learn why. Have you ever wondered what Cubism is about, why Picasso's pictures look so funny, or why he got so famous for what he invented? Why his influence reached so far? This course covers the long and prolific career of what is really one of the great innovators of modern art. We will follow the artist from his beginnings as a precocious youth in the 1890s to his late style in the 1960s. Because Picasso’s oeuvre is so vast, we will focus on a selection of representative works from each period, with emphasis on the question of innovation in painting and sculpture. With respect to these periods, we will  look at the artist's influence on artists in his circle and beyond, specifically where and how his innovations reverberated with other artists. The class is largely discussion based, and there will be two short papers and two short exams. Class participation is vital to the success of the class and your grade.

Class Attendance & Participation are vital
We are building this learning community together and a key element of co-creating a shared learning environment is a commitment to active participation in class. I will launch a short quiz question during (almost) every class, which will be counted toward your grade. The points you can score for each of these are not much, so these are low-stakes quizzes, but together they add up to 45% of your final grade for the course. I will drop the lowest 3 scores in case you cannot attend some classes (make-up quizzes are only given for valid reasons).

UW COVID Health Advisory and Regulations
Under Modules you will find a page close to the top titled "UW COVID Health Advisory and Regulations." Please read the page and linked pages carefully.
Masks are required inside all UW buildings and facilities — and that includes classrooms.

o Covid-19 Prevention Plan for the School of Art + Art History + Design o UW Vaccination Policy
o UW Covid-19 Face Covering Policy
o WhatDoIDoIfIFeelSick?

Updates on Possible Changes due to COVID
Under Modules you will find a page close to the top titled "Updates on Possible Changes due to COVID." This is where you would find the latest information if new health advisories are issued or changes in teaching and gathering may be required. I will also send out emails through my UW email address:

Course Book
The course book is available as a PDF on this Canvas site under FILES, but is also linked here, Picasso's World by John Finlay (2011). This is a simple book that is rich in images and offers a straightfoward narrative about Picasso's life and work. The book will be complemented by other mandatory readings, often more challenging, which will be posted as PDFs in the weekly Modules, where you will also find other, supporting material. 

Course Objectives:

  1. You will gain familiarity with the development of Picasso’s long career and highlights from it in relation to themes that have structured scholarly inquiry into his work and the modernist tradition.

  2. You will learn the elements of visual analysis in painting and sculpture and develop your skills at communicating visual analysis precisely in writing.

  3. You will learn how to develop visual description into art historical interpretation.

You will gain exposure to some of the ways in which art historical scholarship relates visual objects to their historical contexts.


Exams (2):                                                             25%

Papers (2):                                                            30 %

Participation (including short quizzes):              45 %

Here attached you will find a list of School of Art + Art History + Design Policies

Also, Washington state law requires that UW develop a policy for accommodation of student absences or significant hardship due to reasons of faith or conscience, or for organized religious activities. The UW’s policy, including more information about how to request an accommodation, is available at Religious Accommodations Policy ( policy/)Accommodations must be requested within the first two weeks of this course using the Religious Accommodations Request Form (

Disability Accommodation

  • To request academic accommodations due to a disability, please contact Student Disability Services, 448 Schmitz, (206) 543-8924 (V/TTY) or
  • If you have a letter from Student Disability Services requesting academic accommodations, please present this to your instructor on the first day of class or as DRS to send the request directly.

    Violence Awareness and Prevention

-- The entry is interrupted by records of crystals --
~~~
1.
A geometry-optimized DyY2In structure. Source: OQMD via LeMat-Bulk, functional PBE-GGA.

POSCAR file:
```
DyY2In
1.0
4.853 0.000 0.000
0.000 4.853 0.000
0.000 0.000 4.833
Dy Y In
1 2 1
direct
0.000 0.000 0.000
0.000 0.500 0.500
0.500 0.000 0.500
0.500 0.500 0.000
```

The raw total energy is -5.340 eV/atom. The size of the total moment comes out at 0.177 μB/atom.

2.
A geometry-optimized ScZnCoCu structure. Source: OQMD via LeMat-Bulk, functional PBE-GGA.

POSCAR file:
```
ScZnCoCu
1.0
0.000 3.042 3.042
3.042 0.000 3.042
3.042 3.042 0.000
Sc Zn Co Cu
1 1 1 1
direct
0.000 0.000 0.000
0.250 0.250 0.250
0.750 0.750 0.750
0.500 0.500 0.500
```

The raw total energy is -4.682 eV/atom. As for the energy above the most stable polymorph in this dataset: 2.568 kcal/mol of atoms. The size of the total moment comes out at 0.161 μB/atom.

3.
A geometry-optimized BAu4 structure. Source: OQMD via LeMat-Bulk, functional PBE-GGA.

POSCAR file:
```
BAu4
1.0
4.042 0.000 0.000
0.000 4.042 0.000
0.000 0.000 9.966
B Au
2 8
direct
0.250 0.250 0.151
0.750 0.750 0.849
0.250 0.250 0.494
0.250 0.750 0.000
0.250 0.750 0.276
0.250 0.750 0.724
0.750 0.250 0.000
0.750 0.250 0.276
0.750 0.250 0.724
0.750 0.750 0.506
```

The raw total energy is -3.584 eV/atom.


No. 1
# TaNi2As GGA-PBE relaxed
# **Mass density**: 11.03 g cm⁻³
# **DFT formation energy**: -0.23 eV per atom
# **Crystal system**: orthorhombic
# **Energy**: -7.244 eV/atom
# **DOS at the Fermi energy**: 0.37 states/eV per atom
data_TaNi2As
_chemical_formula_sum 'Ta1 Ni2 As1'
_cell_length_a 2.825
_cell_length_b 4.005
_cell_length_c 4.966
_cell_angle_alpha 90.00
_cell_angle_beta 90.00
_cell_angle_gamma 90.00
_space_group_name_H-M_alt 'P m m m'
_space_group_IT_number 47
loop_
_space_group_symop_operation_xyz
'x,y,z'
'-x,-y,-z'
'-x,-y,z'
'x,y,-z'
'x,-y,-z'
'-x,y,z'
'-x,y,-z'
'x,-y,z'
loop_
_atom_site_label
_atom_site_type_symbol
_atom_site_fract_x
_atom_site_fract_y
_atom_site_fract_z
Ta1 Ta 0.000 0.000 0.000
Ni1 Ni 0.500 0.500 0.239
As1 As 0.500 0.000 0.500

No. 2
# TaNiAs GGA-PBE relaxed
# **Mass density**: 12.11 g cm⁻³
# **DFT formation energy**: -0.41 eV per atom
# **Crystal system**: orthorhombic
# **Energy**: -7.838 eV/atom
# **DOS at the Fermi energy**: 0.14 states/eV per atom
data_TaNiAs
_chemical_formula_sum 'Ta4 Ni4 As4'
_cell_length_a 6.338
_cell_length_b 3.717
_cell_length_c 7.322
_cell_angle_alpha 90.00
_cell_angle_beta 90.00
_cell_angle_gamma 90.00
_space_group_name_H-M_alt 'P n m a'
_space_group_IT_number 62
loop_
_space_group_symop_operation_xyz
'x,y,z'
'-x,-y,-z'
'-x+1/2,-y,z+1/2'
'x+1/2,y,-z+1/2'
'x+1/2,-y+1/2,-z+1/2'
'-x+1/2,y+1/2,z+1/2'
'-x,y+1/2,-z'
'x,-y+1/2,z'
loop_
_atom_site_label
_atom_site_type_symbol
_atom_site_fract_x
_atom_site_fract_y
_atom_site_fract_z
Ta1 Ta 0.015 0.250 0.162
Ni1 Ni 0.165 0.250 0.578
As1 As 0.208 0.750 0.381

No. 3
# TaNi2As2 GGA-PBE relaxed
# **Mass density**: 10.38 g cm⁻³
# **DFT formation energy**: -0.16 eV per atom
# **Crystal system**: tetragonal
~~~

Connect to UW Alert. Register your mobile number to receive instant notification of campus emergencies via text and voice messaging. Sign up online:

Land Acknowledgment:  I would like to acknowledge that I live and work in Salish territory, specifically the lands of the Suquamish and Duwamish and the shared lands and waters of the Tulalip and Muckleshoot. There is a long history of education on this land dating to long before the establishment of this university. 

Catalog Description:
Topics vary.
GE Requirements Met:
Arts and Humanities (A&H)
Last updated:
March 16, 2025 - 2:58 pm